To do:
It remains to search the calculation results further below for the word "is" and return each line that has it.

Given:
+++
Record 1
The following is a GGA+U calculation of a geometry-optimized BaFe5Bi4O15 structure, from the Materials Project database.

Lattice parameters (Å, degrees): 9.9241 9.9241 13.8523 118.34 118.34 33.09
Closest atoms and distances in Å follow each position.
Fractional coordinates of all 50 atoms:
Ba  0.0063  0.9937  0.5000  6 O 2.65-2.84
Ba  0.9937  0.0063  0.0000  6 O 2.65-2.84
Fe  0.0051  0.9984  0.7538  5 O 1.96-2.09
Fe  0.1901  0.2001  0.0466  6 O 2.02-2.08
Fe  0.2001  0.1901  0.5466  6 O 2.02-2.08
Fe  0.3970  0.3986  0.3447  6 O 1.97-2.12
Fe  0.3986  0.3970  0.8447  6 O 1.97-2.12
Fe  0.5989  0.6069  0.1469  6 O 1.95-2.17
Fe  0.6069  0.5989  0.6469  6 O 1.95-2.17
Fe  0.7943  0.8000  0.9444  6 O 1.98-2.12
Fe  0.8000  0.7943  0.4444  6 O 1.98-2.12
Fe  0.9984  0.0051  0.2538  5 O 1.96-2.09
Bi  0.2124  0.2301  0.8024  6 O 2.34-2.55
Bi  0.2301  0.2124  0.3024  6 O 2.34-2.55
Bi  0.4201  0.4297  0.1100  5 O 2.28-2.54
Bi  0.4297  0.4201  0.6100  5 O 2.28-2.54
Bi  0.6097  0.6330  0.9021  5 O 2.31-2.50
Bi  0.6330  0.6097  0.4021  5 O 2.31-2.50
Bi  0.8128  0.8215  0.6937  6 O 2.36-2.57
Bi  0.8215  0.8128  0.1937  6 O 2.36-2.57
O  0.0031  0.4550  0.9605  2 Fe 2.04-2.11
O  0.0179  0.1698  0.4010  2 Fe 1.96-2.03
O  0.0532  0.6045  0.8611  2 Fe 2.01-2.12
O  0.1387  0.5490  0.4186  2 Fe 1.99-2.12
O  0.1629  0.7177  0.3034  2 Fe 1.97-2.07
O  0.1698  0.0179  0.9010  2 Fe 1.96-2.03
O  0.1874  0.6674  0.7655  2 Fe 2.00-2.09
O  0.2195  0.3589  0.1997  2 Fe 2.02-2.08
O  0.2818  0.7822  0.6805  2 Fe 1.97-2.17
O  0.3218  0.7640  0.2118  2 Fe 1.99-2.15
O  0.3589  0.2195  0.6997  2 Fe 2.02-2.08
O  0.3625  0.9440  0.1294  2 Fe 1.96-2.08
O  0.4326  0.8473  0.5702  2 Fe 1.95-2.05
O  0.4520  0.5230  0.0013  2 Fe 2.00-2.13
O  0.4550  0.0031  0.4605  2 Fe 2.04-2.11
O  0.5230  0.4520  0.5013  2 Fe 2.00-2.13
O  0.5426  0.9414  0.0194  2 Fe 2.06-2.12
O  0.5490  0.1387  0.9186  2 Fe 1.99-2.12
O  0.6045  0.0532  0.3611  2 Fe 2.01-2.12
O  0.6157  0.7605  0.8028  2 Fe 2.00-2.07
O  0.6674  0.1874  0.2655  2 Fe 2.00-2.09
O  0.7177  0.1629  0.8034  2 Fe 1.97-2.07
O  0.7605  0.6157  0.3028  2 Fe 2.00-2.07
O  0.7640  0.3218  0.7118  2 Fe 1.99-2.15
O  0.7822  0.2818  0.1805  2 Fe 1.97-2.17
O  0.8256  0.9507  0.5953  1 Fe 1.98
O  0.8473  0.4326  0.0702  2 Fe 1.95-2.05
O  0.9414  0.5426  0.5194  2 Fe 2.06-2.12
O  0.9440  0.3625  0.6294  2 Fe 1.96-2.08
O  0.9507  0.8256  0.0953  1 Fe 1.98

Output
Raw total energy = -311.4 eV per cell
Energy relative to the elements = -1730 meV per atom
Magnetization = 24.00 μB per formula unit

---

Record 2
The following is a GGA+U calculation of a geometry-optimized Li2VP2O7 structure, from the Materials Project database.

Lattice parameters (Å, degrees): 5.0396 6.9701 8.4159 67.01 87.92 88.12
Closest atoms and distances in Å follow each position.
Fractional coordinates of all 24 atoms:
Li  0.2113  0.1655  0.4983  4 O 1.94-2.09
Li  0.2711  0.2011  0.9396  3 O 2.02-2.05
Li  0.7289  0.7989  0.0604  3 O 2.02-2.05
Li  0.7887  0.8345  0.5017  4 O 1.94-2.09
V  0.2559  0.7770  0.7769  6 O 2.12-2.29
V  0.7441  0.2230  0.2231  6 O 2.12-2.29
P  0.2204  0.5503  0.1937  4 O 1.53-1.63
P  0.2783  0.8845  0.3206  4 O 1.53-1.61
P  0.7217  0.1155  0.6794  4 O 1.53-1.61
P  0.7796  0.4497  0.8063  4 O 1.53-1.63
O  0.0722  0.4786  0.8330  1 P 1.53
O  0.1060  0.0412  0.1792  1 P 1.54
O  0.1973  0.8757  0.5007  1 P 1.53
O  0.2149  0.6509  0.3397  2 P 1.61-1.63
O  0.3623  0.7087  0.0345  1 P 1.53
O  0.3732  0.3442  0.2800  1 P 1.53
O  0.4206  0.0846  0.7189  1 P 1.55
O  0.5794  0.9154  0.2811  1 P 1.55
O  0.6268  0.6558  0.7200  1 P 1.53
O  0.6377  0.2913  0.9655  1 P 1.53
O  0.7851  0.3491  0.6603  2 P 1.61-1.63
O  0.8027  0.1243  0.4993  1 P 1.53
O  0.8940  0.9588  0.8208  1 P 1.54
O  0.9278  0.5214  0.1669  1 P 1.53

Output
ΔE to the lowest computed polymorph = 20 meV per atom
Raw total energy = -167.4 eV per cell
Energy relative to the elements = -2653 meV per atom
Magnetization = 3.00 μB per formula unit

---

Record 3
+++

Worked solution:
The following is a GGA+U calculation of a geometry-optimized BaFe5Bi4O15 structure, from the Materials Project database.
The following is a GGA+U calculation of a geometry-optimized Li2VP2O7 structure, from the Materials Project database.